**Work order**
The reader should copy the whole of the lines further down character by character.

**File**
+++
A.
Here is an isolated molecule of C2H2Cl2O2S from the OMol25 dataset. Energies are from the ωB97M-V functional and the def2-TZVPD basis.

The geometry in XYZ format:
```
9
C2H2Cl2O2S (the ωB97M-V functional and the def2-TZVPD basis)
Cl 0.436 -1.142 2.174
Cl 1.805 -1.695 -0.260
S -0.986 1.043 -0.635
O -1.821 0.059 -1.186
O -0.971 2.429 -1.040
C 0.478 0.574 -0.030
C 0.446 -1.063 0.470
H 1.014 1.269 0.584
H -0.401 -1.474 -0.077
```

Calculated values
Spin multiplicity = 1
Molecular weight = 161.01 g mol⁻¹
LUMO energy (alpha / beta) = -1.150 / -1.150 eV
SMILES string = O=S(=O)=CC(Cl)Cl
Frontier orbital gap (alpha / beta) = 9.0 / 9.0 eV


B.
Here is a 2-piece molecular cluster, C2H2Cl2O2S overall from the OMol25 dataset. Energies are from the ωB97M-V functional and the def2-TZVPD basis.

The geometry in XYZ format:
```
9
C2H2Cl2O2S (the ωB97M-V functional and the def2-TZVPD basis)
Cl 1.036 -2.248 -0.749
Cl 1.648 -0.354 1.393
S -3.188 0.492 0.288
O 0.762 1.304 -1.112
O -1.882 0.826 0.900
C 0.187 0.181 -0.991
C 0.447 -0.738 0.115
H -0.452 -1.038 0.681
H 1.442 1.576 -0.524
```

Calculated values
Spin multiplicity = 1
Molecular weight = 161.01 g mol⁻¹
LUMO energy (alpha / beta) = -1.863 / -1.892 eV
Frontier orbital gap (alpha / beta) = 7.0 / 7.0 eV


Relative stability in hartree, measured from the most stable structure: A 0.0000; B 0.0600


A.
Here is C4H7N3 as an isolated structure from the OMol25 dataset. Energies are from the ωB97M-V functional and the def2-TZVPD basis.

The geometry in XYZ format:
```
14
C4H7N3 (the ωB97M-V functional and the def2-TZVPD basis)
N -1.392 -2.186 0.039
N -3.129 0.379 0.028
N -0.478 -1.584 -0.488
C 0.170 0.360 1.163
C -0.608 0.222 -0.120
C 0.035 1.080 -1.228
C -1.986 0.364 0.060
H 0.961 1.551 -0.784
H 1.277 0.317 1.039
H -0.058 1.310 1.750
H 0.171 0.298 -2.008
H -1.407 -3.117 -0.369
H -0.010 -0.331 2.015
H -0.834 1.729 -1.480
```

Calculated values
Spin multiplicity = 1
Molecular weight = 97.12 g mol⁻¹
LUMO energy = 0.590 eV
Frontier orbital gap = 9.7 eV


B.
Here is an isolated molecule of C4H7N3 from the OMol25 dataset. Energies are from the ωB97M-V functional and the def2-TZVPD basis.

The geometry in XYZ format:
```
14
C4H7N3 (the ωB97M-V functional and the def2-TZVPD basis)
N 3.801 1.143 -0.100
N 1.539 -1.327 -0.102
N 0.254 0.552 -0.169
C -0.875 -0.374 -0.125
C 2.717 0.741 -0.112
C 1.479 -0.049 -0.113
C -2.233 0.278 -0.297
H -2.318 0.800 -1.255
H 0.120 1.526 0.060
H -2.470 0.975 0.514
H -0.703 -1.106 -0.920
H -0.833 -0.947 0.811
H 2.480 -1.690 -0.175
H -2.991 -0.513 -0.281
```

Calculated values
Spin multiplicity = 1
Molecular weight = 97.12 g mol⁻¹
LUMO energy = 0.782 eV
SMILES string = [H]/N=C(\C#N)NCC
Frontier orbital gap = 10.5 eV


C.
Here is an isolated molecule of C4H7N3 from the OMol25 dataset. Energies are from the ωB97M-V functional and the def2-TZVPD basis.

The geometry in XYZ format:
```
14
C4H7N3 (the ωB97M-V functional and the def2-TZVPD basis)
N -0.303 1.433 0.059
N -0.547 2.116 -1.022
N -0.799 1.243 -1.991
C 0.762 -0.573 1.995
C -0.442 0.114 -0.217
C -0.749 -0.034 -1.553
C 0.333 -0.905 0.549
H -0.011 -1.944 0.440
H -0.895 -0.913 -2.169
H 1.169 0.438 2.048
H 1.017 -0.678 -0.327
H 1.532 -1.271 2.348
H -0.045 -0.614 2.750
H -1.021 1.589 -2.910
```

Calculated values
Spin multiplicity = 1
Molecular weight = 97.12 g mol⁻¹
LUMO energy = 0.870 eV
SMILES string = CCc1c[nH]nn1
Frontier orbital gap = 9.8 eV


D.
Here is an isolated molecule of C4H7N3 from the OMol25 dataset. Energies are from the ωB97M-V functional and the def2-TZVPD basis.

The geometry in XYZ format:
```
14
C4H7N3 (the ωB97M-V functional and the def2-TZVPD basis)
N 0.232 2.541 0.965
N 0.631 0.622 -0.229
N -2.614 0.588 1.041
C 0.420 -1.864 -0.171
C -1.537 0.912 0.768
C 0.304 -0.578 -0.981
C -0.184 1.418 0.512
H 0.988 -0.604 -1.836
H 1.559 1.012 -0.309
H -0.467 3.003 1.538
H -0.700 -0.479 -1.404
H 0.276 -2.739 -0.812
H 1.410 -1.939 0.285
H -0.321 -1.893 0.632
```

Calculated values
Spin multiplicity = 1
+++

**Here it is**
A.
Here is an isolated molecule of C2H2Cl2O2S from the OMol25 dataset. Energies are from the ωB97M-V functional and the def2-TZVPD basis.

The geometry in XYZ format:
```
9
C2H2Cl2O2S (the ωB97M-V functional and the def2-TZVPD basis)
Cl 0.436 -1.142 2.174
Cl 1.805 -1.695 -0.260
S -0.986 1.043 -0.635
O -1.821 0.059 -1.186
O -0.971 2.429 -1.040
C 0.478 0.574 -0.030
C 0.446 -1.063 0.470
H 1.014 1.269 0.584
H -0.401 -1.474 -0.077
```

Calculated values
Spin multiplicity = 1
Molecular weight = 161.01 g mol⁻¹
LUMO energy (alpha / beta) = -1.150 / -1.150 eV
SMILES string = O=S(=O)=CC(Cl)Cl
Frontier orbital gap (alpha / beta) = 9.0 / 9.0 eV


B.
Here is a 2-piece molecular cluster, C2H2Cl2O2S overall from the OMol25 dataset. Energies are from the ωB97M-V functional and the def2-TZVPD basis.

The geometry in XYZ format:
```
9
C2H2Cl2O2S (the ωB97M-V functional and the def2-TZVPD basis)
Cl 1.036 -2.248 -0.749
Cl 1.648 -0.354 1.393
S -3.188 0.492 0.288
O 0.762 1.304 -1.112
O -1.882 0.826 0.900
C 0.187 0.181 -0.991
C 0.447 -0.738 0.115
H -0.452 -1.038 0.681
H 1.442 1.576 -0.524
```

Calculated values
Spin multiplicity = 1
Molecular weight = 161.01 g mol⁻¹
LUMO energy (alpha / beta) = -1.863 / -1.892 eV
Frontier orbital gap (alpha / beta) = 7.0 / 7.0 eV


Relative stability in hartree, measured from the most stable structure: A 0.0000; B 0.0600


A.
Here is C4H7N3 as an isolated structure from the OMol25 dataset. Energies are from the ωB97M-V functional and the def2-TZVPD basis.

The geometry in XYZ format:
```
14
C4H7N3 (the ωB97M-V functional and the def2-TZVPD basis)
N -1.392 -2.186 0.039
N -3.129 0.379 0.028
N -0.478 -1.584 -0.488
C 0.170 0.360 1.163
C -0.608 0.222 -0.120
C 0.035 1.080 -1.228
C -1.986 0.364 0.060
H 0.961 1.551 -0.784
H 1.277 0.317 1.039
H -0.058 1.310 1.750
H 0.171 0.298 -2.008
H -1.407 -3.117 -0.369
H -0.010 -0.331 2.015
H -0.834 1.729 -1.480
```

Calculated values
Spin multiplicity = 1
Molecular weight = 97.12 g mol⁻¹
LUMO energy = 0.590 eV
Frontier orbital gap = 9.7 eV


B.
Here is an isolated molecule of C4H7N3 from the OMol25 dataset. Energies are from the ωB97M-V functional and the def2-TZVPD basis.

The geometry in XYZ format:
```
14
C4H7N3 (the ωB97M-V functional and the def2-TZVPD basis)
N 3.801 1.143 -0.100
N 1.539 -1.327 -0.102
N 0.254 0.552 -0.169
C -0.875 -0.374 -0.125
C 2.717 0.741 -0.112
C 1.479 -0.049 -0.113
C -2.233 0.278 -0.297
H -2.318 0.800 -1.255
H 0.120 1.526 0.060
H -2.470 0.975 0.514
H -0.703 -1.106 -0.920
H -0.833 -0.947 0.811
H 2.480 -1.690 -0.175
H -2.991 -0.513 -0.281
```

Calculated values
Spin multiplicity = 1
Molecular weight = 97.12 g mol⁻¹
LUMO energy = 0.782 eV
SMILES string = [H]/N=C(\C#N)NCC
Frontier orbital gap = 10.5 eV


C.
Here is an isolated molecule of C4H7N3 from the OMol25 dataset. Energies are from the ωB97M-V functional and the def2-TZVPD basis.

The geometry in XYZ format:
```
14
C4H7N3 (the ωB97M-V functional and the def2-TZVPD basis)
N -0.303 1.433 0.059
N -0.547 2.116 -1.022
N -0.799 1.243 -1.991
C 0.762 -0.573 1.995
C -0.442 0.114 -0.217
C -0.749 -0.034 -1.553
C 0.333 -0.905 0.549
H -0.011 -1.944 0.440
H -0.895 -0.913 -2.169
H 1.169 0.438 2.048
H 1.017 -0.678 -0.327
H 1.532 -1.271 2.348
H -0.045 -0.614 2.750
H -1.021 1.589 -2.910
```

Calculated values
Spin multiplicity = 1
Molecular weight = 97.12 g mol⁻¹
LUMO energy = 0.870 eV
SMILES string = CCc1c[nH]nn1
Frontier orbital gap = 9.8 eV


D.
Here is an isolated molecule of C4H7N3 from the OMol25 dataset. Energies are from the ωB97M-V functional and the def2-TZVPD basis.

The geometry in XYZ format:
```
14
C4H7N3 (the ωB97M-V functional and the def2-TZVPD basis)
N 0.232 2.541 0.965
N 0.631 0.622 -0.229
N -2.614 0.588 1.041
C 0.420 -1.864 -0.171
C -1.537 0.912 0.768
C 0.304 -0.578 -0.981
C -0.184 1.418 0.512
H 0.988 -0.604 -1.836
H 1.559 1.012 -0.309
H -0.467 3.003 1.538
H -0.700 -0.479 -1.404
H 0.276 -2.739 -0.812
H 1.410 -1.939 0.285
H -0.321 -1.893 0.632
```

Calculated values
Spin multiplicity = 1